In-Person Property Visits Remain Vital to Hotel Operations
Maintain Meaningful Personal Connections to Hotel Team Members

By Rick Takach, HNN columnist
August 10, 2022

Hotel operations are a complex endeavor, especially since they are amplified by the subtleties of managing people and caring for guests.

At the same time, our valued team members want to connect with corporate personnel and make personal connections with key management staff. Moreover, many circumstances at a property can only be truly seen, understood and remedied in person.

Therefore, as our industry recovers from the pandemic, these in-person visits are more important than ever, as many of us were not able to visit properties as much as we would have liked over the last couple of years. Furthermore, we have witnessed notable turnover in staffing, and many excellent, veteran property-level general managers have chosen to retire. In some cases, we are building back the basics of operations and culture from the ground up. The best way to do that is through face-to-face interactions.

Regardless, we believe that companies that manage remotely by relying on technology and analysis of data can quickly find themselves out of touch with the needs and, most importantly, the opportunities of a property. Furthermore, spending time with the on-site property team is critical to establishing and sharing ownership goals and priorities.

Up Close and Real

Property visits are also essential because there are just too many small, but important, details that contribute to successfully running a hotel that can’t be seen from afar, even on video camera. They must be observed in person.

When I visit a property with my executive team, I look first, listen later. On the day of arrival, after surveying the exterior of the hotel, I always go to the back of the hotel first and see how things are going in the maintenance and housekeeping departments. Next, believe it or not, I visit one of the restrooms. Then, whether I am tired or not, I quietly walk every square foot of the property that I can. Start at the top and work down. Closets. Hallways. A few empty guest rooms.

As we like to say, you can learn a lot. Are we maintaining cleanliness and organization throughout the property? Are carpeting and furnishings wearing as we expect? Do any walls need repainting ahead of the existing schedule; and so on? Overall, this silent observation is not about a lack of confidence in staff, but to identify areas that can be improved, as well as to commend our team members when they excel.

Next, my team and I are here to listen to the needs of the general manager and her or his department heads. What issues need resolving? How can we help with budget forecasting or revenue management? What property upgrades do you recommend? What about human resource management? I want to know what they need from me, especially as significant staffing pressures and supply-chain issues remain in our industry.

Yes, we have a wealth of property-level data available back at headquarters, but all of this data gives us the opportunity to fully prepare for property visits, weeding out the details that can be covered over email, allowing us when on-site to focus on team interactions, the physical property needs, training and connecting with individuals.

Many times, we hold a lunch or dinner for as many team members as we can get together to offer my personal gratitude for their hard work and commitment to the company. I make sure to speak to guests to personally thank them for their business and ask how they liked their stay or if they have any suggestions.

Thus, at these property visits, one wears many hats. Inspector. Problem solver. Morale booster. All these functions fulfill our ultimate goals, which are to make sure that we support our team and give them the tools needed to maintain the investment at the highest level possible, while doing a great job of caring for guests. Approached in the right ways, these visits further catalyze our efforts at building an outstanding hotel culture.

Records of crystals, as found in the file:
/*
(1)
Calculated powder diffractogram of BC5 for Cu Kα, 1.54184 Å, from a DFT-relaxed cell (PBE, Alexandria).

Most intense lines, 2θ = 10–90°, in order of falling intensity:
| 2theta | d (Å) | intensity | h k l |
| --- | --- | --- | --- |
| 43.17 | 2.095 | 100 | 1 1 1 |
| 42.95 | 2.106 | 96 | 1 1 -2 |
| 73.47 | 1.289 | 26 | 0 2 3 |
| 73.76 | 1.285 | 25 | 2 2 -1 |
| 89.32 | 1.097 | 23 | 3 1 -3 |
| 73.35 | 1.291 | 13 | 2 0 -4 |
| 74.00 | 1.281 | 13 | 2 0 2 |
| 89.14 | 1.098 | 9 | 1 3 -2 |

Crystal structure
Cell: 3.6249 3.6417 5.7791 Å, 90.00 108.71 90.00°
Space group P2/c (No. 13)
Asymmetric unit:
B 0.0000 0.1279 0.2500 x2
C 0.1710 0.3808 0.0788 x4
C 0.3443 0.1350 0.9232 x4
C 0.5000 0.3716 0.7500 x2

---

(2)
Calculated powder diffractogram of Tb4Mg2In for Cu Kα, 1.54184 Å, from a DFT-relaxed cell (PBE, Alexandria).

Most intense lines, 2θ = 10–90°, in order of falling intensity:
| 2theta | d (Å) | intensity | h k l |
| --- | --- | --- | --- |
| 25.16 | 3.540 | 100 | 0 1 5 |
| 34.29 | 2.615 | 85 | 1 1 0 |
| 29.58 | 3.020 | 39 | 1 0 7 |
| 43.00 | 2.104 | 24 | 2 0 5 |
| 56.11 | 1.639 | 22 | 1 2 5 |
| 61.40 | 1.510 | 20 | 3 0 0 |
| 52.17 | 1.753 | 19 | 1 1 12 |
| 37.42 | 2.404 | 18 | 1 0 10 |

Crystal structure
Cell: 5.2310 5.2310 28.3563 Å, 90.00 90.00 120.00°
Space group R-3m (No. 166, hexagonal axes)
Asymmetric unit:
Tb 0.0000 0.0000 0.1265 x6
Tb 0.0000 0.0000 0.2917 x6
Mg 0.0000 0.0000 0.4039 x6
In 0.0000 0.0000 0.5000 x3

---

(3)
Calculated powder diffractogram of Hf2Ta3Si4 for Cu Kα, 1.54184 Å, from a DFT-relaxed cell (PBE, Alexandria).

Most intense lines, 2θ = 10–90°, in order of falling intensity:
| 2theta | d (Å) | intensity | h k l |
| --- | --- | --- | --- |
| 37.99 | 2.369 | 100 | 1 1 2 |
| 37.46 | 2.401 | 90 | 2 2 -1 |
| 38.28 | 2.351 | 69 | 2 2 0 |
| 30.06 | 2.973 | 67 | 1 1 -2 |
| 42.64 | 2.120 | 58 | 1 1 -3 |
| 42.08 | 2.147 | 54 | 0 3 1 |
| 29.68 | 3.010 | 48 | 0 2 1 |
| 26.23 | 3.398 | 41 | 1 1 1 |

Crystal structure
Cell: 6.8563 6.8495 6.6902 Å, 90.00 109.40 90.00°
Space group P2_1/c (No. 14)
Asymmetric unit:
Hf 0.1871 0.1696 0.0594 x4
Ta 0.2505 0.6771 0.2457 x4
Ta 0.5000 0.0000 0.5000 x2
Si 0.0766 0.5331 0.8551 x4
Si 0.4879 0.1270 0.8697 x4

---

(4)
Calculated powder diffractogram of LiCaTlTeSeF for Cu Kα, 1.54184 Å, from a DFT-relaxed cell (PBE, Alexandria).

Most intense lines, 2θ = 10–90°, in order of falling intensity:
| 2theta | d (Å) | intensity | h k l |
| --- | --- | --- | --- |
| 32.38 | 2.765 | 100 | 3 1 0 |
| 26.18 | 3.404 | 66 | 1 1 0 |
| 26.59 | 3.353 | 65 | 4 0 0 |
| 27.91 | 3.197 | 61 | 0 0 2 |
| 39.69 | 2.271 | 56 | 3 1 -2 |
| 13.85 | 6.394 | 55 | 0 0 1 |
| 39.88 | 2.260 | 51 | 1 1 2 |
| 27.77 | 3.212 | 51 | 2 0 -2 |

Crystal structure
Cell: 13.8438 3.5191 6.6008 Å, 90.00 104.37 90.00°
Space group Cm (No. 8)
Asymmetric unit:
Li 0.0000 0.0000 0.0000 x2
Ca 0.1913 0.5000 0.8471 x2
Tl 0.3791 0.0000 0.4380 x2
Te 0.1613 0.5000 0.3399 x2
Se 0.3626 0.0000 0.9397 x2
F 0.0906 0.0000 0.8307 x2

---
*/

Rick Takach is chairman and CEO of Vesta Hospitality.